-- Brief --
Return the lines underneath up to the one that holds "-0.178", that line included.
-- Excerpt --
~~~
{"formula": "C2H6O2", "method": "ωB97M-V/def2-TZVPD", "gap_ev": 11.4, "e_homo_ev": -11.0, "charge": 0, "lumo_energy_ev": 0.411, "smiles": "O=CO.C", "fmax_ev_per_a": 1.11, "elements": ["O", "C", "O", "H", "H", "C", "H", "H", "H", "H"], "positions_angstrom": [[0.39065, -3.46012, 1.58257], [1.02011, -2.49757, 1.29170], [2.24770, -2.29669, 1.81969], [0.66811, -1.69960, 0.62465], [2.63102, -1.45938, 1.53411], [-1.35957, 2.25935, -1.36562], [-2.11439, 2.43147, -0.59551], [-0.44384, 2.11892, -0.80308], [-1.32908, 3.11772, -2.04148], [-1.71072, 1.48591, -2.04703]], "forces_ev_per_a": [[-0.295, -0.199, -0.162], [0.305, 0.056, 0.436], [0.049, 0.064, -0.056], [0.039, 0.058, -0.107], [-0.101, 0.024, -0.114], [-0.900, 0.631, -0.170], [-0.204, 0.055, -0.275], [0.339, -0.357, -0.576], [0.324, 0.287, 0.504], [0.444, -0.618, 0.519]]}

* * * * *

Density functional theory data (ωB97M-V/def2-TZVPD) for a 12-piece molecular cluster, C62H123F15O31 overall.

E_HOMO   -9.191 eV
SMILES   CCOC(=O)C(F)(F)F.CCOC(=O)C(F)(F)F.CCOC(=O)C(F)(F)F.CCOC(=O)C(F)(F)F.CCOC(=O)C(F)(F)F.COCCOCCOC.COCCOCCOC.COCCOCCOC.COCCOCCOC.COCCOCCOC.COCCOCCOC.COCCOCCOC

Each line ends with the Löwdin charge.
Positions of all 231 atoms, in Å:
C: 10.19 7.78 -16.81  -0.052
C: 11.50 7.50 -17.53  -0.200
O: 12.62 8.15 -16.87  0.036
C: 13.84 7.96 -17.41  -0.317
O: 14.14 7.45 -18.53  0.107
C: 14.97 8.48 -16.55  -0.490
F: 14.57 8.67 -15.23  0.124
F: 15.89 7.51 -16.53  0.158
F: 15.53 9.65 -16.94  0.160
H: 9.36 7.62 -17.51  0.084
H: 10.11 8.79 -16.43  0.083
H: 10.19 7.08 -15.97  0.080
H: 11.48 7.78 -18.58  0.106
H: 11.68 6.42 -17.57  0.129
C: 16.55 0.14 -13.77  -0.041
C: 15.61 1.25 -13.14  -0.162
O: 15.65 2.48 -13.90  0.006
C: 15.00 2.72 -15.06  -0.380
O: 14.46 1.87 -15.67  0.185
C: 14.93 4.16 -15.55  -0.584
F: 15.33 4.29 -16.82  0.173
F: 13.72 4.61 -15.51  0.216
F: 15.71 4.95 -14.78  0.142
H: 17.60 0.42 -13.83  0.051
H: 16.13 -0.02 -14.76  0.071
H: 16.42 -0.76 -13.16  0.080
H: 15.98 1.48 -12.15  0.113
H: 14.59 0.90 -12.97  0.124
C: 18.89 5.68 -16.89  -0.023
C: 18.87 7.00 -17.73  -0.163
O: 18.63 8.13 -16.83  -0.032
C: 18.89 9.42 -17.24  -0.271
O: 19.32 9.74 -18.39  0.093
C: 18.85 10.42 -16.07  -0.491
F: 20.06 10.81 -15.65  0.173
F: 18.20 11.55 -16.48  0.135
F: 18.18 9.93 -14.99  0.138
H: 19.56 5.81 -16.04  0.065
H: 19.34 4.84 -17.43  0.062
H: 17.89 5.37 -16.58  0.060
H: 18.11 6.92 -18.50  0.127
H: 19.85 7.22 -18.16  0.085
C: 15.48 12.40 -13.62  -0.055
C: 15.46 11.30 -12.58  -0.205
O: 15.91 11.88 -11.38  0.026
C: 15.45 11.48 -10.17  -0.363
O: 14.62 10.63 -10.02  0.163
C: 16.14 12.15 -9.02  -0.508
F: 15.22 12.68 -8.13  0.136
F: 16.81 11.20 -8.35  0.161
F: 17.02 13.08 -9.40  0.178
H: 15.29 11.94 -14.60  0.076
H: 16.41 12.95 -13.61  0.080
H: 14.68 13.13 -13.52  0.084
H: 16.13 10.49 -12.89  0.122
H: 14.44 10.94 -12.47  0.128
C: 20.92 14.34 -19.61  -0.036
C: 20.51 13.17 -18.70  -0.223
O: 21.36 13.09 -17.59  0.005
C: 21.07 13.80 -16.45  -0.282
O: 20.18 14.65 -16.37  0.126
C: 22.11 13.50 -15.33  -0.591
F: 21.53 13.07 -14.21  0.171
F: 23.01 12.61 -15.75  0.169
F: 22.70 14.62 -15.04  0.204
H: 21.92 14.11 -19.97  0.082
H: 20.83 15.28 -19.05  0.054
H: 20.32 14.37 -20.51  0.073
H: 20.53 12.18 -19.16  0.121
H: 19.49 13.35 -18.37  0.106
C: 22.48 7.00 -10.71  -0.115
O: 22.47 5.59 -10.93  -0.162
C: 21.75 5.33 -12.19  -0.161
C: 22.78 5.29 -13.31  -0.183
O: 23.25 6.62 -13.48  -0.213
C: 24.48 6.72 -14.28  -0.125
C: 24.22 7.92 -15.21  -0.135
O: 23.05 7.81 -16.12  -0.204
C: 21.80 8.02 -15.52  -0.092
H: 23.37 7.14 -10.10  0.089
H: 21.63 7.40 -10.16  0.077
H: 22.61 7.57 -11.63  0.078
H: 20.83 5.89 -12.32  0.096
H: 21.35 4.31 -12.13  0.111
H: 22.54 4.94 -14.32  0.112
H: 23.58 4.68 -12.88  0.133
H: 24.52 5.88 -14.97  0.115
H: 25.37 6.77 -13.65  0.130
H: 25.06 8.22 -15.84  0.119
H: 24.17 8.84 -14.62  0.115
H: 21.11 8.02 -16.36  0.070
H: 21.86 8.97 -15.00  0.099
H: 21.56 7.14 -14.92  0.078
C: 22.01 18.17 -19.98  -0.088
O: 20.74 18.82 -19.63  -0.173
C: 19.89 17.82 -19.10  -0.198
C: 18.37 18.20 -18.88  -0.178
~~~
-- Result --
{"formula": "C2H6O2", "method": "ωB97M-V/def2-TZVPD", "gap_ev": 11.4, "e_homo_ev": -11.0, "charge": 0, "lumo_energy_ev": 0.411, "smiles": "O=CO.C", "fmax_ev_per_a": 1.11, "elements": ["O", "C", "O", "H", "H", "C", "H", "H", "H", "H"], "positions_angstrom": [[0.39065, -3.46012, 1.58257], [1.02011, -2.49757, 1.29170], [2.24770, -2.29669, 1.81969], [0.66811, -1.69960, 0.62465], [2.63102, -1.45938, 1.53411], [-1.35957, 2.25935, -1.36562], [-2.11439, 2.43147, -0.59551], [-0.44384, 2.11892, -0.80308], [-1.32908, 3.11772, -2.04148], [-1.71072, 1.48591, -2.04703]], "forces_ev_per_a": [[-0.295, -0.199, -0.162], [0.305, 0.056, 0.436], [0.049, 0.064, -0.056], [0.039, 0.058, -0.107], [-0.101, 0.024, -0.114], [-0.900, 0.631, -0.170], [-0.204, 0.055, -0.275], [0.339, -0.357, -0.576], [0.324, 0.287, 0.504], [0.444, -0.618, 0.519]]}

* * * * *

Density functional theory data (ωB97M-V/def2-TZVPD) for a 12-piece molecular cluster, C62H123F15O31 overall.

E_HOMO   -9.191 eV
SMILES   CCOC(=O)C(F)(F)F.CCOC(=O)C(F)(F)F.CCOC(=O)C(F)(F)F.CCOC(=O)C(F)(F)F.CCOC(=O)C(F)(F)F.COCCOCCOC.COCCOCCOC.COCCOCCOC.COCCOCCOC.COCCOCCOC.COCCOCCOC.COCCOCCOC

Each line ends with the Löwdin charge.
Positions of all 231 atoms, in Å:
C: 10.19 7.78 -16.81  -0.052
C: 11.50 7.50 -17.53  -0.200
O: 12.62 8.15 -16.87  0.036
C: 13.84 7.96 -17.41  -0.317
O: 14.14 7.45 -18.53  0.107
C: 14.97 8.48 -16.55  -0.490
F: 14.57 8.67 -15.23  0.124
F: 15.89 7.51 -16.53  0.158
F: 15.53 9.65 -16.94  0.160
H: 9.36 7.62 -17.51  0.084
H: 10.11 8.79 -16.43  0.083
H: 10.19 7.08 -15.97  0.080
H: 11.48 7.78 -18.58  0.106
H: 11.68 6.42 -17.57  0.129
C: 16.55 0.14 -13.77  -0.041
C: 15.61 1.25 -13.14  -0.162
O: 15.65 2.48 -13.90  0.006
C: 15.00 2.72 -15.06  -0.380
O: 14.46 1.87 -15.67  0.185
C: 14.93 4.16 -15.55  -0.584
F: 15.33 4.29 -16.82  0.173
F: 13.72 4.61 -15.51  0.216
F: 15.71 4.95 -14.78  0.142
H: 17.60 0.42 -13.83  0.051
H: 16.13 -0.02 -14.76  0.071
H: 16.42 -0.76 -13.16  0.080
H: 15.98 1.48 -12.15  0.113
H: 14.59 0.90 -12.97  0.124
C: 18.89 5.68 -16.89  -0.023
C: 18.87 7.00 -17.73  -0.163
O: 18.63 8.13 -16.83  -0.032
C: 18.89 9.42 -17.24  -0.271
O: 19.32 9.74 -18.39  0.093
C: 18.85 10.42 -16.07  -0.491
F: 20.06 10.81 -15.65  0.173
F: 18.20 11.55 -16.48  0.135
F: 18.18 9.93 -14.99  0.138
H: 19.56 5.81 -16.04  0.065
H: 19.34 4.84 -17.43  0.062
H: 17.89 5.37 -16.58  0.060
H: 18.11 6.92 -18.50  0.127
H: 19.85 7.22 -18.16  0.085
C: 15.48 12.40 -13.62  -0.055
C: 15.46 11.30 -12.58  -0.205
O: 15.91 11.88 -11.38  0.026
C: 15.45 11.48 -10.17  -0.363
O: 14.62 10.63 -10.02  0.163
C: 16.14 12.15 -9.02  -0.508
F: 15.22 12.68 -8.13  0.136
F: 16.81 11.20 -8.35  0.161
F: 17.02 13.08 -9.40  0.178
H: 15.29 11.94 -14.60  0.076
H: 16.41 12.95 -13.61  0.080
H: 14.68 13.13 -13.52  0.084
H: 16.13 10.49 -12.89  0.122
H: 14.44 10.94 -12.47  0.128
C: 20.92 14.34 -19.61  -0.036
C: 20.51 13.17 -18.70  -0.223
O: 21.36 13.09 -17.59  0.005
C: 21.07 13.80 -16.45  -0.282
O: 20.18 14.65 -16.37  0.126
C: 22.11 13.50 -15.33  -0.591
F: 21.53 13.07 -14.21  0.171
F: 23.01 12.61 -15.75  0.169
F: 22.70 14.62 -15.04  0.204
H: 21.92 14.11 -19.97  0.082
H: 20.83 15.28 -19.05  0.054
H: 20.32 14.37 -20.51  0.073
H: 20.53 12.18 -19.16  0.121
H: 19.49 13.35 -18.37  0.106
C: 22.48 7.00 -10.71  -0.115
O: 22.47 5.59 -10.93  -0.162
C: 21.75 5.33 -12.19  -0.161
C: 22.78 5.29 -13.31  -0.183
O: 23.25 6.62 -13.48  -0.213
C: 24.48 6.72 -14.28  -0.125
C: 24.22 7.92 -15.21  -0.135
O: 23.05 7.81 -16.12  -0.204
C: 21.80 8.02 -15.52  -0.092
H: 23.37 7.14 -10.10  0.089
H: 21.63 7.40 -10.16  0.077
H: 22.61 7.57 -11.63  0.078
H: 20.83 5.89 -12.32  0.096
H: 21.35 4.31 -12.13  0.111
H: 22.54 4.94 -14.32  0.112
H: 23.58 4.68 -12.88  0.133
H: 24.52 5.88 -14.97  0.115
H: 25.37 6.77 -13.65  0.130
H: 25.06 8.22 -15.84  0.119
H: 24.17 8.84 -14.62  0.115
H: 21.11 8.02 -16.36  0.070
H: 21.86 8.97 -15.00  0.099
H: 21.56 7.14 -14.92  0.078
C: 22.01 18.17 -19.98  -0.088
O: 20.74 18.82 -19.63  -0.173
C: 19.89 17.82 -19.10  -0.198
C: 18.37 18.20 -18.88  -0.178